Bread, English muffins, waffles, pancakes, biscuits, pretzels – the list of things you can do with a nice sourdough starter is endless! A friend of my mom’s turned me on to the wonders of starter many years ago when she served up the most delicious sourdough biscuits bathed in bacon fat for brunch. I initially thought it was the bacon grease that added all that flavor, but she promised me it was the starter. (Maybe a bit of both?) Since then, I have tried my hand at many recipes that use starter and now plan to share the best of the lot here on EATS Together. The longer you can keep your starter, the better it gets (as they can attest to in San Francisco, where some bakeries, and even families, have starters that are well over 100 years old). I think my longest run with a single starter was twelve years. Then, one day I opened it up to discover a metropolis of mold and not good things. It may sound silly, but I wept! After that, I went through several batches before finding the best storage and care system for my starter. The one I have now has been alive and kicking for just over 9 years. Below, I’ll share some tips (and hope others will, too). So, get your starter ready, because our favorite recipes are coming soon!

Ingredients for Sourdough Starter

  • 1 package active dry yeast (do not use quick-rise yeast)
  • 2.5 C. warm filtered water (105° – 115°)
  • 2 C. flour
  • 1 T. sugar


TO MAKE your starter, in a large bowl, dissolve yeast in 1/2 cup of the water. When the yeast is dissolved, add in the other ingredients and beat until smooth. Cover the bowl with a dish towel or cheesecloth and let stand at room temperature for 5 – 10 days, stirring occasionally, until the starter has a fermented aroma. A warmer room will yield quicker fermentation.

**Unrelated to this text: materials data**
┌──
[1]
Structure and computed X-ray powder pattern of ZrRe2Ni (the GGA-PBE geometry in OQMD; copper Kα).
No peak broadening, texture or thermal motion is included.

The 5 most intense peaks (5° ≤ 2θ ≤ 70°), low angle first:
| 2θ/deg | I (rel.) |
| --- | --- |
| 24.59 | 19 |
| 40.69 | 100 |
| 48.12 | 10 |
| 58.91 | 17 |
| 64.80 | 4 |

Cell and atoms:
Cell lengths 4.4345, 4.4345, 4.4345 Å; angles 60.00, 60.00, 60.00 degrees
Fractional positions:
Zr 0.0000 0.0000 0.0000
Re 0.2500 0.2500 0.2500
Re 0.5000 0.5000 0.5000
Ni 0.7500 0.7500 0.7500


[2]
Structure and computed X-ray powder pattern of PmOF (the GGA-PBE geometry in OQMD; copper Kα).
No peak broadening, texture or thermal motion is included.

The 8 most intense peaks (5° ≤ 2θ ≤ 70°), low angle first:
| 2θ/deg | I (rel.) |
| --- | --- |
| 27.87 | 100 |
| 32.19 | 18 |
| 32.51 | 10 |
| 46.16 | 17 |
| 46.40 | 36 |
| 54.73 | 12 |
| 54.84 | 12 |
| 55.21 | 15 |

Cell and atoms:
Cell lengths 5.5692, 11.1099, 11.0164 Å; angles 90.00, 90.00, 90.00 degrees
Fractional positions:
Pm 0.2145 0.0132 0.1256
Pm 0.2145 0.4868 0.6256
Pm 0.2433 0.2380 0.3757
Pm 0.2433 0.2620 0.8757
Pm 0.2567 0.7380 0.3757
Pm 0.2567 0.7620 0.8757
Pm 0.2855 0.5132 0.1256
Pm 0.2855 0.9868 0.6256
Pm 0.7145 0.0132 0.3744
Pm 0.7145 0.4868 0.8744
Pm 0.7433 0.2380 0.1243
Pm 0.7433 0.2620 0.6243
Pm 0.7567 0.7380 0.1243
Pm 0.7567 0.7620 0.6243
Pm 0.7855 0.5132 0.3744
Pm 0.7855 0.9868 0.8744
O 0.0061 0.6319 0.5043
O 0.0061 0.8681 0.0043
O 0.0140 0.6253 0.2422
O 0.0140 0.8747 0.7422
O 0.4860 0.1253 0.2422
O 0.4860 0.3747 0.7422
O 0.4939 0.1319 0.5043
O 0.4939 0.3681 0.0043
O 0.5061 0.6319 0.9957
O 0.5061 0.8681 0.4957
O 0.5140 0.6253 0.2578
O 0.5140 0.8747 0.7578
O 0.9860 0.1253 0.2578
O 0.9860 0.3747 0.7578
O 0.9939 0.1319 0.9957
O 0.9939 0.3681 0.4957
F 0.0048 0.1248 0.7417
F 0.0048 0.3752 0.2417
F 0.0057 0.6162 0.9927
F 0.0057 0.8838 0.4927
F 0.4943 0.1162 0.9927
F 0.4943 0.3838 0.4927
F 0.4952 0.6248 0.7417
F 0.4952 0.8752 0.2417
F 0.5048 0.1248 0.7583
F 0.5048 0.3752 0.2583
F 0.5057 0.6162 0.5073
F 0.5057 0.8838 0.0073
F 0.9943 0.1162 0.5073
F 0.9943 0.3838 0.0073
F 0.9952 0.6248 0.7583
F 0.9952 0.8752 0.2583


[3]
Structure and computed X-ray powder pattern of Ba4Ag3Ge20 (the GGA-PBE geometry in OQMD; copper Kα).
No peak broadening, texture or thermal motion is included.

The 8 most intense peaks (5° ≤ 2θ ≤ 70°), low angle first:
| 2θ/deg | I (rel.) |
| --- | --- |
| 28.15 | 36 |
| 29.32 | 25 |
| 30.46 | 100 |
| 32.62 | 17 |
| 33.65 | 12 |
| 48.33 | 36 |
| 49.82 | 20 |
| 51.28 | 45 |

Cell and atoms:
Cell lengths 10.9816, 10.9816, 10.9816 Å; angles 90.00, 90.00, 90.00 degrees
Fractional positions:
Ba 0.0000 0.0000 0.0000
Ba 0.0000 0.2500 0.5000
Ba 0.0000 0.7500 0.5000
Ba 0.2500 0.5000 0.0000
Ba 0.5000 0.0000 0.2500
Ba 0.5000 0.0000 0.7500
Ba 0.5000 0.5000 0.5000
Ba 0.7500 0.5000 0.0000
Ag 0.0000 0.5000 0.2500
Ag 0.0000 0.5000 0.7500
Ag 0.2500 0.0000 0.5000
Ag 0.5000 0.2500 0.0000
Ag 0.5000 0.7500 0.0000
Ag 0.7500 0.0000 0.5000
└──

TO STORE your starter, transfer to a clean jar or glass container and refrigerate with a cover that IS NOT AIRTIGHT. I have found that the glass crock pictured above is perfect. This is the container that I have kept my most recent starter in for the last 9 years.

TO USE your starter, take it out of the refrigerator the night before (or a good 10 – 12 hours before) you are going to use it so that it comes to room temperature. This makes the starter easier to work with and prevents the starter from slowing the rise of whatever you are making. Your starter will separate while sitting in the refrigerator, so be sure to give it a good stir with a whisk, making sure to re-incorporate the ingredients fully, before using.

TO FEED your starter, replace an equal amount of flour and filtered water as what you have used. For example, if you use 1 cup of starter, then add 1 cup of flour and 1 cup of water back into your starter base. After I feed my starter, I usually let it sit out for a day or two, stirring it once or twice before returning it to the refrigerator.

Now, you are ready to bake! What recipes would you like to see first? Or, are you a baker who loves to use starters, too? Email me or share your tips, advice or requests in the comments below!